The 'White Elephant' Problem: Unused Public Architecture
Besides my penchant for architecture and anything of the sort, I have always had a fascination with aviation. Civil aviation to be more precise. I like to fly, and it is often the best part of any trip that I take. Whether it is the plane, the view at 36,000 feet or the bustle of an airport, I enjoy this facet of our society. For anyone who knows me, these experiences become the more tranquil parts of my life. More recently, I began to have a curiosity about the economic dystopia occurring in the European Union. I like to keep apprised of the issues arising from the economic crisis, how it is affecting various E.U. nations and how it impacts our economy here at home. I came across an article this weekend on NPR: "Financial Woes Keep Spanish Airport Grounded" by Lauren Frayer on NPR that really piqued my interest.
It ties together the continuing difficulties within the E.U. and the excitement of opening a new piece of public architecture – one large and expansive as an airport. The focus is the new Castellon Airport near Valencia, and its significance of the debilitating financial situation in Spain. The airport sits unused. No airlines are contracted to use the airport nor is there any government approval allowing planes to use its runway. In a related article published last November, the airport was said to be “one of the better-known examples of Spain’s so-called 'white elephant' problem.” Throughout the E.U., but especially in Spain as a consequence of the building boom, many grand-scale and overly expensive projects are complete and sit vacant or depressingly underused. These are the 'white elephants' referred to by many politicians, officials and the public for their symbolism of corruption and overzealous spending. For the Valencia region, the looming question is whether or not its 'white elephant,' the Castellon airport, will ever be used.
If the answer appears to be 'no,' then what should be done with the airport? In general, what shall be done with all the 'white elephant' projects? Shall they be demolished? Many of these projects are still highly valuable and demolition will just add to overall costs.(1) On the other hand, is there another use for these places? Can we turn the 'white elephant' into a 'phoenix from the ashes'?
A similar scenario took place many years ago, here in North America. Some may say there is still no resolution, but it gives us food for thought. Like Castellon, it is another airport, this one near Montréal, Canada. Montréal-Mirabel International Airport was a mid-1970's product of visionary planning and a desire to provide another international gateway into Canada. Only a portion of the original plan was built; however, the completed phase is quite large and extensive. For years, the airport was highly active, serving as the gateway for all international flights in and out of Montréal. Another airport nearby, Montréal's Dorval Airport, became used solely for domestic flights. Today, the airport sits nearly vacant, another 'white elephant.'(2) The reasons differ from those of the Castellon Airport: changes in attitude towards city planning in the 1980's and 90's, the travel distance from the city center, and upgrades to Montréal's Dorval Airport were all contributing factors. Nonetheless, Mirabel sits today as a vast expanse of runways and hangars with few aircraft using the facility.
Crystal structures that have nothing to do with the entry >
-- begin --
! BiOF (PBE, relaxed); values from VASP
! Energy with MP2020 corrections in eV per atom: -5.7103
! Total magnetic moment in μB/f.u.: 0.0
! ΔH_f (0 K) in eV per atom: -2.13
&SYSTEM
  ibrav = 0, nat = 12, ntyp = 3
/
ATOMIC_SPECIES
Bi 208.98 Bi.upf
F 19.00 F.upf
O 16.00 O.upf
ATOMIC_POSITIONS angstrom
Bi 4.943 1.851 5.631
Bi 2.975 5.028 8.449
Bi 2.975 4.144 2.823
Bi 4.943 7.322 5.641
F 3.909 5.785 4.228
F 5.877 5.681 7.046
F 5.877 3.492 4.226
F 3.909 3.387 7.043
O 2.975 6.895 6.970
O 2.975 2.277 4.302
O 4.942 4.570 9.788
O 4.942 4.602 1.484
CELL_PARAMETERS angstrom
0.000 4.586 5.636
3.935 0.000 5.636
3.935 4.586 0.000


! KZrPSe6 (PBE, relaxed); values from VASP
! Energy with MP2020 corrections in eV per atom: -4.9211
! Total magnetic moment in μB/f.u.: 0.0
! ΔH_f (0 K) in eV per atom: -0.92
&SYSTEM
  ibrav = 0, nat = 36, ntyp = 4
/
ATOMIC_SPECIES
Se 78.96 Se.upf
K 39.10 K.upf
P 30.97 P.upf
Zr 91.22 Zr.upf
ATOMIC_POSITIONS angstrom
Se 1.874 -10.144 -6.064
Se -4.649 -9.490 2.074
Se -8.297 -9.883 12.804
Se -4.560 -15.436 0.385
Se -6.468 -19.704 2.817
Se -5.132 -17.248 5.066
Se -2.075 -11.237 -3.133
Se -1.693 -17.286 -1.300
Se -1.787 -3.182 -1.600
Se -2.033 -6.665 2.050
Se -1.452 -2.897 1.942
Se -8.380 -16.828 7.090
Se -4.353 -4.069 2.916
Se -4.250 -15.321 3.929
Se -2.669 -12.669 1.687
Se -7.306 -10.877 6.630
Se 0.927 -11.903 -4.764
Se -3.565 -18.541 1.838
Se -4.924 -8.361 6.961
Se -3.765 -7.692 4.989
Se -7.445 -14.644 10.011
Se -4.290 -11.534 4.975
Se -0.861 -6.225 -0.004
Se 0.318 -8.700 -2.818
K -0.511 -14.571 -2.789
K -6.684 -9.378 9.953
K -1.308 -10.046 -0.158
K -5.748 -13.742 7.105
P 1.167 -6.863 -3.916
P -2.629 -16.845 0.542
P -3.169 -11.100 3.013
P -0.320 -2.209 0.025
Zr -5.886 -17.087 2.412
Zr -6.038 -9.334 4.682
Zr -3.152 -4.630 0.551
Zr -0.781 -9.828 -5.163
CELL_PARAMETERS angstrom
-3.372 0.468 -1.824
2.491 -12.786 -7.882
-8.429 -9.714 13.093

=====

[1]
Entry from the Materials Project database: a geometry-optimized K2MnS2O12 structure (GGA+U).

Structure (extended XYZ):
```
34
Lattice="5.731 -5.125 0.000 5.731 5.125 0.000 -0.868 0.000 10.026" Properties=species:S:1:pos:R:3 pbc="T T T"
K 3.255 2.609 7.607
K 7.341 2.609 2.419
K 3.255 -2.609 7.607
K 7.341 -2.609 2.419
Mn -0.434 0.000 5.013
Mn 5.731 0.000 0.000
S 1.491 0.000 9.592
S 2.833 0.000 4.775
S 7.763 0.000 5.251
S 9.104 0.000 0.434
O 1.074 1.230 8.911
O 5.073 3.628 3.967
O 1.377 0.000 4.215
O 5.523 3.628 6.059
O 2.059 0.000 1.002
O 3.455 1.216 4.226
O 1.074 -1.230 8.911
O 2.819 0.000 6.242
O 5.731 1.870 0.000
O 3.064 0.000 9.462
O 3.455 -1.216 4.226
O 5.376 0.000 1.845
O 5.219 0.000 8.181
O 7.140 1.216 5.800
O 7.532 0.000 0.564
O 5.731 -1.870 0.000
O 7.777 0.000 3.784
O 9.522 1.230 1.115
O 7.140 -1.216 5.800
O 8.536 0.000 9.024
O 5.073 -3.628 3.967
O 9.219 0.000 5.811
O 5.523 -3.628 6.059
O 9.522 -1.230 1.115
```

Summary:
total energy: -5.364 eV/atom
formation energy: -1.298 eV per atom
mass density: 2.19 Mg/m³

=====

[2]
-- stop --
However, Montréal-Mirabel International Airport is not entirely unused. It has become an example of how to alternately use large public architecture. The airport is used as practice grounds for new aircraft built in Canada, for cargo operations and even as a movie set. Has anyone seen 'The Terminal' with Tom Hanks? Some scenes were filmed here (better than shutting down JFK for a movie shot). In 2006, plans were even announced to transform part of the airport into an amusement park.(3)
This brings me back to the story of Castellon Airport near Valencia, Spain. Although hundreds of millions of euros were spent to build this large public piece of architecture, there is still some hope. If the original plans to be an airport ultimately fail, the regional officials and public must step up and be creative. What can spaces like an airport terminal, swaths of concrete and asphalt, and precision-tailored landscapes provide? A movie set? An amusement park? Or maybe an unconventional park or nature preserve? Urban explorers may get a kick out of an unused airport. These 'white elephants' are not simply embarrassments to be ignored, but each one is an opportunity for a second chance at creating great public architecture - to become a 'phoenix from the ashes.'
Posted by Kenneth Miraski
(1) Herman, Marc. "Spain's Vacant Airport Typifies European Woes," Miller-McCune, last modified November 18, 2011
(2) Krauss, Clifford. “End of Era Near in Montreal for White-Elephant Airport,” New York Times, October 3, 2004.
(3) "Mirabel Airport to be turned into amusement park," CTV News, last modified February 21, 2006